Feng Shui Basics Every Home Buyer Should Know
If you’re looking for a new home there are some basic feng shui tips you’ll want to keep in mind. This will make it easier for you to select a home that has good basic feng shui and works with your personal feng shui energy too.
1) Find a home that is on a square lot. This will create overall balance for the bukit jalil property and allow an even flow of both yin and yang energy.
2) The home should be centered on the lot rather than off to one side, too close to the front yard (leaving a much larger back yard) or too close to the back (leaving a much larger front yard). If the home has a bigger front yard than back yard bringing money into your household will be easy but hanging onto it will be difficult.
If the front yard is smaller than the backyard bringing money into your household will be hard but once you get it you will have an easier time saving it. Try to find a home where the front and back yards are equal in size.
-- The entry is interrupted by data records --
┌──
No. 1
Computed, not measured: crystalline Li2SbPCO7 at its relaxed geometry at the GGA-PBE level of DFT.

The structure in POSCAR format:
```
Li2SbPCO7
1.0
5.146 0.000 0.000
0.000 6.989 0.000
-1.056 0.000 8.782
Li Sb P C O
4 2 2 2 14
direct
0.231 0.000 0.097
0.246 0.315 0.723
0.754 0.815 0.277
0.769 0.500 0.903
0.210 0.482 0.326
0.790 0.982 0.674
0.284 0.997 0.405
0.716 0.497 0.595
0.315 0.493 0.031
0.685 0.993 0.969
0.069 0.485 0.058
0.140 0.833 0.311
0.192 0.034 0.562
0.239 0.175 0.295
0.387 0.461 0.901
0.417 0.450 0.568
0.490 0.531 0.149
0.510 0.031 0.851
0.583 0.950 0.432
0.613 0.961 0.099
0.761 0.675 0.705
0.808 0.534 0.438
0.860 0.333 0.689
0.931 0.985 0.942
```

## Properties
SG: P2_1 (4)
total energy after the MP2020 corrections: -168.18 eV/cell
ΔH_f (0 K): -216 kJ per mole of atoms
DFT total energy: -158.6 eV per cell
density: 3.1 g/cm3

***

No. 2
Computed, not measured: crystalline Li2SmPCO7 at its relaxed geometry at the GGA-PBE level of DFT.

The structure in POSCAR format:
```
Li2SmPCO7
1.0
4.972 0.000 0.000
0.000 6.878 0.000
-0.480 0.000 9.247
Li Sm P C O
4 2 2 2 14
direct
0.202 0.020 0.304
0.202 0.480 0.304
0.798 0.520 0.696
0.798 0.980 0.696
0.257 0.250 0.873
0.743 0.750 0.127
0.266 0.750 0.901
0.734 0.250 0.099
0.258 0.250 0.568
0.742 0.750 0.432
0.028 0.250 0.632
0.127 0.567 0.835
0.127 0.933 0.835
0.240 0.750 0.070
0.271 0.250 0.432
0.426 0.250 0.120
0.476 0.250 0.656
0.524 0.750 0.344
0.574 0.750 0.880
0.729 0.750 0.568
0.760 0.250 0.930
0.873 0.067 0.165
0.873 0.433 0.165
0.972 0.750 0.368
```

## Properties
SG: P2_1/m (11)
total energy after the MP2020 corrections: -181.86 eV/cell
ΔH_f (0 K): -266 kJ per mole of atoms
DFT total energy: -172.2 eV per cell
density: 3.4 g/cm3

***

No. 3
Computed, not measured: crystalline LiTiPCO7 at its relaxed geometry at the GGA-PBE level of DFT.

The structure in POSCAR format:
```
LiTiPCO7
1.0
5.686 0.000 0.000
0.000 6.336 0.000
-0.467 0.000 8.579
Li Ti P C O
2 2 2 2 14
direct
0.248 0.000 0.335
0.752 0.500 0.665
0.214 0.379 0.838
0.786 0.879 0.162
0.264 0.880 0.956
0.736 0.380 0.044
0.262 0.341 0.555
0.738 0.841 0.445
0.058 0.370 0.620
0.123 0.887 0.106
0.203 0.684 0.857
0.204 0.075 0.855
0.289 0.283 0.421
0.437 0.372 0.664
0.470 0.380 0.992
0.530 0.880 0.008
0.563 0.872 0.336
0.711 0.783 0.579
0.796 0.575 0.145
0.797 0.184 0.143
0.877 0.387 0.894
0.942 0.870 0.380
```

## Properties
SG: P2_1 (4)
total energy after the MP2020 corrections: -176.98 eV/cell
ΔH_f (0 K): -258 kJ per mole of atoms
largest piezoelectric modulus: 0.1 C/m²
DFT total energy: -167.4 eV per cell
density: 2.3 g/cm3

***

No. 4
Computed, not measured: crystalline LiTiPCO7 at its relaxed geometry at the GGA-PBE level of DFT.

The structure in POSCAR format:
```
LiTiPCO7
1.0
5.244 0.000 0.000
0.000 6.448 0.000
-1.129 0.000 8.165
Li Ti P C O
2 2 2 2 14
direct
0.245 0.250 0.099
0.755 0.750 0.901
0.204 0.750 0.316
0.796 0.250 0.684
0.249 0.250 0.424
0.751 0.750 0.576
0.314 0.750 0.035
0.686 0.250 0.965
0.070 0.750 0.071
└──
3) There should be trees, another home or fence behind the house to hold the positive energy on your property company in malaysiaand make it easier to hold on to your money.
## Inserted here: materials data
┌──
Entry 1:
VASP calculation (PBE) on a geometry-optimized EuInO3 structure.

SG   Pm-3m, No. 221
V   73.6 Å³/cell
Total DFT energy (no corrections)   -36.89 eV per cell

Cell and atoms, written as POSCAR:
```
EuInO3
1.0
4.191 0.000 0.000
0.000 4.191 0.000
0.000 0.000 4.191
Eu In O
1 1 3
direct
0.000 0.000 0.000
0.500 0.500 0.500
0.000 0.500 0.500
0.500 0.000 0.500
0.500 0.500 0.000
```



Entry 2:
VASP calculation (PBE) on a geometry-optimized EuInO3 structure.

SG   Pnma, No. 62
V   279.6 Å³/cell
Total DFT energy (no corrections)   -153.35 eV per cell

Cell and atoms, written as POSCAR:
```
EuInO3
1.0
5.997 0.000 0.000
0.000 8.163 0.000
0.000 0.000 5.712
Eu In O
4 4 12
direct
0.062 0.250 0.015
0.438 0.750 0.515
0.562 0.250 0.485
0.938 0.750 0.985
0.000 0.000 0.500
0.000 0.500 0.500
0.500 0.000 0.000
0.500 0.500 0.000
0.061 0.750 0.371
0.188 0.564 0.816
0.188 0.936 0.816
0.312 0.064 0.316
0.312 0.436 0.316
0.439 0.250 0.871
0.561 0.750 0.129
0.688 0.564 0.684
0.688 0.936 0.684
0.812 0.064 0.184
0.812 0.436 0.184
0.939 0.250 0.629
```
└──
## Back to the text
4) Stand in the street and look at the front of the freehold condo. Any vegetation, buildings, telephone poles, flag poles, trees, etc. should be higher on the right side of the house than the left. If it is the other way around it can create legal problems and/or angry females in the home.
5) The ideal shape of a home is square, however it can be difficult to find a perfectly square home. If the home isn’t square then you will at least want the home to have all of your 4 personal best directions (Success, Health, Relationships, Wisdom) because if any of these areas are partially or completely missing you will have more problems in these areas of your life.
____________
# Li2FeO2F

Li2FeO2F after structural relaxation (PBE with a Hubbard U, the Materials Project database).

**Energy with MP2020 corrections**: -6.365 eV/atom
**Mass density**: 3.63 g cm⁻³
**ΔH_f (0 K)**: -2.349 eV/atom
**Calculated volume**: 9.209 A^3/atom
**Polymorph energy (0 for the lowest one)**: 0.0 meV per atom

Cell lengths 2.967, 2.967, 14.491 Å; angles 90.00, 90.00, 120.00 degrees
Sites, in units of the cell vectors:
Li 0.000 0.000 0.000
Li 0.000 0.000 0.500
Li 0.333 0.667 0.339
Li 0.667 0.333 0.661
Fe 0.333 0.667 0.831
Fe 0.667 0.333 0.169
O 0.000 0.000 0.247
O 0.000 0.000 0.753
O 0.333 0.667 0.091
O 0.667 0.333 0.909
F 0.333 0.667 0.581
F 0.667 0.333 0.419

# Li3Fe8O3F13

Li3Fe8O3F13 after structural relaxation (PBE with a Hubbard U, the Materials Project database).

**Energy with MP2020 corrections**: -6.594 eV/atom
**Mass density**: 3.78 g cm⁻³
**ΔH_f (0 K)**: -2.401 eV/atom
**Calculated volume**: 12.402 A^3/atom

Cell lengths 6.312, 6.312, 10.451 Å; angles 107.98, 107.98, 59.37 degrees
Sites, in units of the cell vectors:
Li 0.000 0.000 0.000
Li 0.621 0.621 0.858
Li 0.823 0.823 0.441
Fe 0.053 0.565 0.677
Fe 0.076 0.556 0.180
Fe 0.078 0.078 0.696
Fe 0.333 0.815 0.438
Fe 0.556 0.076 0.180
Fe 0.558 0.558 0.164
Fe 0.565 0.053 0.677
Fe 0.815 0.333 0.438
O 0.174 0.174 0.549
O 0.458 0.458 0.306
O 0.710 0.710 0.552
F 0.160 0.728 0.559
F 0.184 0.685 0.065
F 0.193 0.193 0.067
F 0.430 0.430 0.779
F 0.446 0.931 0.800
F 0.480 0.915 0.295
F 0.685 0.184 0.065
F 0.696 0.696 0.062
F 0.728 0.160 0.559
F 0.915 0.480 0.295
F 0.931 0.446 0.800
F 0.931 0.931 0.308
F 0.940 0.940 0.803

# Li3Fe4O3F9

Li3Fe4O3F9 after structural relaxation (PBE with a Hubbard U, the Materials Project database).

**Energy with MP2020 corrections**: -6.246 eV/atom
**Mass density**: 3.73 g cm⁻³
**ΔH_f (0 K)**: -2.474 eV/atom
**Calculated volume**: 10.858 A^3/atom
**Polymorph energy (0 for the lowest one)**: 24.7 meV per atom

Cell lengths 5.954, 6.009, 6.038 Å; angles 99.88, 99.28, 98.92 degrees
Sites, in units of the cell vectors:
Li 0.000 0.000 0.000
Li 0.157 0.259 0.540
Li 0.427 0.929 0.730
Fe 0.304 0.602 0.125
Fe 0.629 0.235 0.282
Fe 0.733 0.482 0.822
Fe 0.901 0.727 0.450
O 0.000 0.654 0.025
O 0.623 0.551 0.233
O 0.881 0.423 0.549
F 0.099 0.991 0.705
F 0.228 0.282 0.180
F 0.239 0.706 0.440
F 0.384 0.482 0.818
F 0.430 0.926 0.088
F 0.480 0.166 0.534
F 0.693 0.774 0.696
F 0.728 0.202 0.960
F 0.869 0.008 0.310

# LiFe2O2F3

LiFe2O2F3 after structural relaxation (PBE with a Hubbard U, the Materials Project database).

**Energy with MP2020 corrections**: -6.611 eV/atom
**Mass density**: 3.79 g cm⁻³
**ΔH_f (0 K)**: -2.300 eV/atom
**Calculated volume**: 11.362 A^3/atom
**Polymorph energy (0 for the lowest one)**: 26.0 meV per atom

Cell lengths 5.980, 5.980, 7.100 Å; angles 109.44, 109.44, 50.36 degrees
Sites, in units of the cell vectors:
Li 0.000 0.000 0.000
Li 0.000 0.000 0.500
Fe 0.287 0.330 0.630
Fe 0.330 0.287 0.130
Fe 0.670 0.713 0.870
Fe 0.713 0.670 0.370
____________
### Back to the article
Your personal best directions are different from general feng shui directions for Success, Health, Relationships and Wisdom. Your personal directions are specific to you and based on your birthday.
6) Ideally the front door should face the Success or Relationship direction of the bread winner in the family. If you are retired then finding a home where the front door faces any of your four best directions is fine.
7) Your master bedroom should be in one of your four best directions in the home. A simplified way to determine this is to draw a tic-tac-toe symbol over the floor plan of the house and see what direction the master bedroom is located in (N, S, E, W, SE, SW, NE or NW). If it’s in one of your four best directions this will be good for you.
For a more detailed analysis you will also want to look at the Flying Stars on the home. This analysis can be done by a qualified classical Feng Shui consultant.